With the quickly passing signs of spring, we are headed full steam into summer. With summer comes lots of sun, and fresh air, and the opportunity for fresh fruits and vegetables. For some that means planting a large garden, for others it means visiting the local, pick-your-own farm for fresh strawberries and blueberries, and for others, it means visiting the local farmer’s market. Whatever your preference, you may fall into the definition for a term recently created and defined as a locavore. “Locavore” was the 2007 word of the year for the Oxford American Dictionary. Simply put, a locavore is someone who eats foods locally grown, raised, or caught. Locavores range from someone who grows their own tomatoes, to those who will not eat or purchase anything not grown or raised within a one hundred mile radius of their house. Why has this become a movement and now, even has its own name?
-- begin --
Record 1
Compound: NaLa2OsO6
Source: the Materials Project database
Functional: PBE
Structure: optimized geometry

Structure (POSCAR):
```
NaLa2OsO6
1.0
-0.046 6.008 0.468
-3.189 -0.387 4.654
3.579 -0.685 9.147
O Os La Na
12 2 4 2
Direct
0.950 0.387 0.729 O
0.674 0.160 0.051 O
0.826 0.160 0.551 O
0.278 0.266 0.568 O
0.778 0.734 0.932 O
0.450 0.613 0.771 O
0.050 0.613 0.271 O
0.326 0.840 0.949 O
0.174 0.840 0.449 O
0.222 0.266 0.068 O
0.550 0.387 0.229 O
0.722 0.734 0.432 O
0.000 0.500 0.500 Os
0.500 0.500 0.000 Os
0.433 0.772 0.247 La
0.567 0.228 0.753 La
0.933 0.228 0.253 La
0.067 0.772 0.747 La
0.000 0.000 0.000 Na
0.500 0.000 0.500 Na
```

Values from the calculation:
V   13.9 Å³ per atom
Total DFT energy (no corrections)   -7.6124 eV per atom
Energy of formation   -28.1 eV/f.u.

***

Record 2
Compound: NaLaP4O12
Source: the Materials Project database
Functional: PBE
Structure: optimized geometry

Structure (POSCAR):
```
NaLaP4O12
1.0
13.422 0.000 0.000
0.000 7.360 0.000
0.000 7.308 10.184
O Na P La
48 4 16 4
Direct
0.340 0.657 0.087 O
0.840 0.343 0.413 O
0.391 0.187 0.597 O
0.520 0.651 0.138 O
0.855 0.086 0.102 O
0.920 0.698 0.211 O
0.891 0.813 0.903 O
0.389 0.634 0.293 O
0.660 0.343 0.913 O
0.366 0.519 0.661 O
0.379 0.095 0.830 O
0.686 0.787 0.845 O
0.420 0.302 0.289 O
0.205 0.312 0.398 O
0.986 0.929 0.284 O
0.134 0.519 0.161 O
0.480 0.349 0.862 O
0.314 0.213 0.155 O
0.795 0.688 0.602 O
0.355 0.914 0.398 O
0.705 0.688 0.102 O
0.295 0.312 0.898 O
0.634 0.481 0.339 O
0.020 0.349 0.362 O
0.866 0.481 0.839 O
0.111 0.634 0.793 O
0.163 0.801 0.294 O
0.980 0.651 0.638 O
0.121 0.095 0.330 O
0.486 0.071 0.216 O
0.611 0.366 0.707 O
0.080 0.302 0.789 O
0.514 0.929 0.784 O
0.160 0.657 0.587 O
0.014 0.071 0.716 O
0.879 0.905 0.670 O
0.889 0.366 0.207 O
0.580 0.698 0.711 O
0.109 0.187 0.097 O
0.621 0.905 0.170 O
0.814 0.787 0.345 O
0.663 0.199 0.206 O
0.609 0.813 0.403 O
0.145 0.914 0.898 O
0.186 0.213 0.655 O
0.337 0.801 0.794 O
0.837 0.199 0.706 O
0.645 0.086 0.602 O
0.721 0.065 0.435 Na
0.779 0.065 0.935 Na
0.221 0.935 0.065 Na
0.279 0.935 0.565 Na
0.374 0.337 0.805 P
0.400 0.006 0.742 P
0.874 0.663 0.695 P
0.600 0.994 0.258 P
0.886 0.884 0.234 P
0.900 0.994 0.758 P
0.114 0.116 0.766 P
0.410 0.571 0.200 P
0.386 0.116 0.266 P
0.626 0.663 0.195 P
0.614 0.884 0.734 P
0.100 0.006 0.242 P
0.910 0.429 0.300 P
0.126 0.337 0.305 P
0.590 0.429 0.800 P
0.090 0.571 0.700 P
0.780 0.465 0.022 La
0.220 0.535 0.978 La
0.720 0.465 0.522 La
0.280 0.535 0.478 La
```

Values from the calculation:
V   14.0 Å³ per atom
Total DFT energy (no corrections)   -7.3112 eV per atom
Energy of formation   -52.6 eV/f.u.

***

Record 3
Compound: Na3La2P3O12
Source: the Materials Project database
Functional: PBE
Structure: optimized geometry

Structure (POSCAR):
```
Na3La2P3O12
1.0
-4.939 -7.790 -2.669
9.298 -0.762 2.272
-5.624 -3.934 22.964
La O Na P
12 72 18 18
Direct
0.329 0.668 0.319 La
0.647 0.323 0.681 La
0.332 0.671 0.819 La
0.024 0.012 0.652 La
0.657 0.346 0.986 La
-- stop --
It is well known that most of the food you purchase in the grocery store has traveled thousands of miles before it reaches the store shelf. Many are committed to purchasing locally for this reason alone, striving to make a difference in the environment by reducing their “carbon footprint” – another term recently coined. Others simply recognize that food just tastes better if it’s fresh off the vine or plant. In order for food to be fresh and ripe for you to purchase from the grocery store, it needs to be picked very early, before it has a chance to ripen, so that it can travel several hundred or maybe thousands of miles. In some cases it will be sprayed with a ripening agent. Have you ever bought fruit at the store and before it ripened, it rotted instead? How frustrating!
When fruit and vegetables are picked before they are ripe, they lose nutritional value because they are not allowed to fully develop. Many of the nutritional benefits of fruits and vegetables come from the process of ripening on the vine or plant. If produce is picked too early, those nutritional elements will be lacking. The difference between a fresh-picked tomato, local strawberries or tree-ripened peaches to their store bought counterparts is very noticeable simply because they were not allowed to grow and develop the way the Lord intended.
I encourage you to seek out and purchase some of your food from local sources this summer. Don’t stop at just fruit and vegetables, though! Honey, eggs, milk, butter, cheese, and meat can also be purchased through local farms, butchers, or even friends and neighbors!
I’ve listed several local farmer’s markets to help you get started. Not only is it a fun adventure to go the market or farm, but it’s a great opportunity to get to know your neighboring community. In many cases you will find that even though they are not labeled organic, their farming practices are. Perhaps you will also have an opportunity to witness to those that you meet!
Emmaus Farmer’s Market (235 Main Street, Emmaus, open on Sundays 10 am – 2 pm)
Macungie Farmer’s Market (50 Poplar Street, Macungie, open on Thursdays, 4 pm – 7 pm)
Upper Milford Farmer’s Market (corner of Rt. 29/100 and King’s Highway South, open on Saturdays, 9 am – 4 pm)
Kutztown Produce Auction (209 Oakhaven Road, Fleetwood, PA, open Tuesday, Thursday, Saturday, auction starting at 9 am – produce usually is auctioned first. You need to purchase in large bulk, but it’s great if you’re planning on splitting with friends or freezing and canning a lot of one item)
Burkholder’s Farm Market (630 Topton Road, Kutztown, PA, open Monday – Saturday, 9 am – 7 pm)
Allentown Farmer’s Market (17th and Chew Streets, Allentown, open on Thursdays 9 am – 8 pm, Fridays 8 am – 8 pm, Saturdays 8 am – 6 pm)
Bobwhite Acres – self-pick fruits and vegetables, farmer’s market (3879 East Mill Hill Rd, Coopersburg, PA)
Jersey Hollow Farm ( fresh, raw milk – 276 Quarry Rd, Kutztown, PA)
# Materials data from another source follow
********
(1)
# BaBi4Cl2O6 | the Materials Project database | GGA-PBE | optimized geometry
data_BaBi4Cl2O6
_cell_length_a 3.998
_cell_length_b 3.998
_cell_length_c 32.963
_cell_angle_alpha 90.00
_cell_angle_beta 90.00
_cell_angle_gamma 90.00
_symmetry_space_group_name_H-M 'I 4/m m m'
_symmetry_Int_Tables_number 139
_symmetry_space_group_name_Hall '-I 4 2'
loop_
_atom_site_label
_atom_site_type_symbol
_atom_site_fract_x
_atom_site_fract_y
_atom_site_fract_z
Ba1 Ba 0.000 0.000 0.000
Bi1 Bi 0.000 0.000 0.287
Bi2 Bi 0.000 0.000 0.414
Cl1 Cl 0.000 0.000 0.170
O1 O 0.000 0.500 0.057
O2 O 0.000 0.500 0.250
# M_tot: 0.015 Bohr magnetons per cell
# Total DFT energy (no corrections): -5.331 eV per atom
# Energy of formation from the pure elements: -1.736 eV/atom

***

(2)
# Ba2MgCuBi2F14 | the Materials Project database | GGA-PBE | optimized geometry
data_Ba2MgCuBi2F14
_cell_length_a 14.597
_cell_length_b 5.357
_cell_length_c 16.146
_cell_angle_alpha 90.00
_cell_angle_beta 90.02
_cell_angle_gamma 90.00
_symmetry_space_group_name_H-M 'C 1 2/c 1'
_symmetry_Int_Tables_number 15
loop_
_symmetry_equiv_pos_as_xyz
'x,y,z'
'-x,-y,-z'
'-x,y,-z+1/2'
'x,-y,z+1/2'
'x+1/2,y+1/2,z'
'-x+1/2,-y+1/2,-z'
'-x+1/2,y+1/2,-z+1/2'
'x+1/2,-y+1/2,z+1/2'
loop_
_atom_site_label
_atom_site_type_symbol
_atom_site_fract_x
_atom_site_fract_y
_atom_site_fract_z
Ba1 Ba 0.181 0.102 0.372
Mg1 Mg 0.000 0.438 0.750
Cu1 Cu 0.000 0.500 0.000
Bi1 Bi 0.108 0.054 0.122
F1 F 0.017 0.163 0.828
F2 F 0.024 0.371 0.391
F3 F 0.075 0.202 0.985
F4 F 0.103 0.333 0.237
F5 F 0.148 0.280 0.545
F6 F 0.178 0.174 0.719
F7 F 0.245 0.352 0.898
# M_tot: 4.003 Bohr magnetons per cell
# Total DFT energy (no corrections): -5.063 eV per atom
# Energy of formation from the pure elements: -3.180 eV/atom

=====

Entry 1:
Here is CsFeH24Se2O20 after structural relaxation from the Materials Project. Energies are from GGA+U.

Properties
DFT total energy in eV/atom: -5.0878
ΔH_f (0 K) in eV per atom: -1.322
SG: Pa-3 (205)

Lattice parameters (Å, degrees): 12.7766 12.7766 12.7766 90.00 90.00 90.00
Fractional coordinates of all 192 atoms:
Cs: 0.0000 0.0000 0.0000
Cs: 0.0000 0.5000 0.5000
Cs: 0.5000 0.0000 0.5000
Cs: 0.5000 0.5000 0.0000
Fe: 0.0000 0.0000 0.5000
Fe: 0.0000 0.5000 0.0000
Fe: 0.5000 0.0000 0.0000
Fe: 0.5000 0.5000 0.5000
H: 0.0016 0.6932 0.7186
H: 0.0016 0.8068 0.2186
H: 0.0307 0.5453 0.7919
H: 0.0307 0.9547 0.2919
H: 0.0343 0.0816 0.3083
H: 0.0343 0.4184 0.8083
H: 0.0453 0.7081 0.9693
H: 0.0453 0.7919 0.4693
H: 0.0816 0.1917 0.5343
H: 0.0816 0.3083 0.0343
H: 0.1214 0.6691 0.7186
H: 0.1214 0.8309 0.2186
H: 0.1691 0.7186 0.3786
H: 0.1691 0.7814 0.8786
H: 0.1917 0.5343 0.0816
H: 0.1917 0.9657 0.5816
H: 0.1932 0.7186 0.4984
H: 0.1932 0.7814 0.9984
H: 0.2081 0.5307 0.9547
H: 0.2081 0.9693 0.4547
H: 0.2186 0.0016 0.8068
H: 0.2186 0.1214 0.8309
H: 0.2186 0.3786 0.3309
H: 0.2186 0.4984 0.3068
H: 0.2814 0.5016 0.8068
H: 0.2814 0.6214 0.8309
H: 0.2814 0.8786 0.3309
H: 0.2814 0.9984 0.3068
H: 0.2919 0.0307 0.9547
********
Barringer’s Brothers ( butcher – Rt. 212, Richlandtown, PA)
Deitrich’s Meats (660 Old Rt 22, Lenhartsville)

Though she grew up in a Christian home, Allison did not realize her need of being born again until she was 21 years old, when she repented of her sin and put her faith in Jesus Christ alone. She is thrilled to be a member of a vibrant church where the gospel is preached clearly and unashamedly!
Allison is wife to Roland, who is the senior pastor at LVBC. She is also mother to five children. She enjoys reading, sewing, and experimenting with new recipes in the kitchen.